(Input)
____________
9
Lattice="6.382 -2.498 0.000 6.382 2.498 0.000 -2.633 0.000 9.796" Properties=species:S:1:pos:R:3 comment="K3Hg4Sb2 PBE relaxed" formation_energy_uncorrected_mev_per_atom=-342.8 dft_energy_ev_per_cell=-15.83 total_magnetization_mub_per_fu=0.0 crystal_system=monoclinic sg="No. 12" pbc="T T T"
K 0.000 0.000 0.000
K 3.277 0.000 3.371
K 6.853 0.000 6.424
Hg -0.387 0.000 3.764
Hg 1.118 0.000 9.247
Hg 9.012 0.000 0.548
Hg 10.517 0.000 6.031
Sb 3.185 0.000 7.134
Sb 6.945 0.000 2.661
____________
(What to do)
Work out how many lines further above have the word "Lattice" in them; a number is enough, please.
(Result)
1